Posts Tagged ‘eeo’

(Records of crystals, kept here for reference)
Structure and simulated PXRD pattern of Pu4Ru2Rh (a structure optimized by DFT (PBE); Cu Kα, 1.54184 Å).
Intensities are scaled so that the largest is 100.

Largest 10 diffraction maxima, in order of rising 2θ, 5 to 70 degrees two-theta:
- 25.85°, I 18
- 30.11°, I 17
- 33.51°, I 100
- 33.99°, I 49
- 39.90°, I 36
- 40.04°, I 35
- 40.29°, I 28
- 53.15°, I 21
- 55.37°, I 21
- 55.96°, I 15

Crystal structure
abc: 7.2912 7.2912 7.2912
angles: 109.03 109.03 110.36
Fractional coordinates of all 14 atoms:
Pu 0.1275 0.7369 0.7468
Pu 0.1307 0.2401 0.7532
Pu 0.2631 0.0099 0.3906
Pu 0.4869 0.3775 0.2468
Pu 0.6193 0.8725 0.6094
Pu 0.6225 0.8693 0.1094
Pu 0.7599 0.5131 0.8906
Pu 0.9901 0.3807 0.2532
Ru 0.2418 0.6250 0.1168
Ru 0.3750 0.4918 0.6168
Ru 0.5082 0.1250 0.8832
Ru 0.8750 0.7582 0.3832
Rh 0.0000 0.0000 0.0000
Rh 0.7500 0.2500 0.5000

* * * * *

(1)
Diffraction record for Sc2InRh5. The powder diffraction line list is simulated, not measured: it uses a structure optimized by DFT (GGA-PBE) and a wavelength of 1.5418 Å.

Crystal structure
Lattice parameters (Å, degrees): 5.5590 11.0753 4.1556 90.00 90.00 90.00
Atoms (fractional coordinates):
Sc  0.1959  0.1378  0.0000
Sc  0.3041  0.6378  0.0000
Sc  0.6959  0.3622  0.0000
Sc  0.8041  0.8622  0.0000
In  0.0000  0.5000  0.5000
In  0.5000  0.0000  0.5000
Rh  0.0000  0.0000  0.5000
Rh  0.0496  0.7548  0.5000
Rh  0.2121  0.3807  0.0000
Rh  0.2879  0.8807  0.0000
Rh  0.4504  0.2548  0.5000
Rh  0.5000  0.5000  0.5000
Rh  0.5496  0.7452  0.5000
Rh  0.7121  0.1193  0.0000
Rh  0.7879  0.6193  0.0000
Rh  0.9504  0.2452  0.5000

Top 10 peaks for 10 to 80 degrees two-theta, by angle:
22.66°, I 12
31.36°, I 10
38.98°, I 81
39.09°, I 100
39.86°, I 19
43.56°, I 37
46.28°, I 48
65.43°, I 33
67.68°, I 9
76.94°, I 24

---

(2)
Diffraction record for ScIn2Rh4. The powder diffraction line list is simulated, not measured: it uses a structure optimized by DFT (GGA-PBE) and a wavelength of 1.5418 Å.

Crystal structure
Lattice parameters (Å, degrees): 6.2871 6.2871 6.3415 90.00 90.00 90.00
Atoms (fractional coordinates):
Sc  0.0000  0.0000  0.0000
Sc  0.5000  0.5000  0.5000
In  0.0000  0.5000  0.0000
In  0.0000  0.5000  0.5000
In  0.5000  0.0000  0.0000
In  0.5000  0.0000  0.5000
Rh  0.2500  0.2500  0.2500
Rh  0.2500  0.2500  0.7500
Rh  0.2500  0.7500  0.2500
Rh  0.2500  0.7500  0.7500
Rh  0.7500  0.2500  0.2500
Rh  0.7500  0.2500  0.7500
Rh  0.7500  0.7500  0.2500
Rh  0.7500  0.7500  0.7500

Top 10 peaks for 10 to 80 degrees two-theta, by angle:
19.96°, I 25
28.39°, I 6
34.75°, I 11
40.40°, I 100
40.59°, I 49
54.48°, I 6
58.19°, I 8
58.74°, I 16
73.35°, I 16
73.72°, I 32

---

(3)
Diffraction record for Sc5In4Rh2. The powder diffraction line list is simulated, not measured: it uses a structure optimized by DFT (GGA-PBE) and a wavelength of 1.5418 Å.

Crystal structure
Lattice parameters (Å, degrees): 7.6653 17.5633 3.3940 90.00 90.00 90.00
Atoms (fractional coordinates):
Sc  0.0000  0.0000  0.0000
Sc  0.1236  0.4136  0.0000

Say What?

Thursday, April 24th, 2008

About the author: Marcus Peacock is EPA’s Deputy Administrator.

Last week Pope Benedict XVI visited the White House. This reminded me of an encounter a friend of mine, Neil, had with Pope John Paul II several years ago. Neil and his boss entered the meeting room and approached His Holiness. A cleric standing behind the Pope quietly said, “Kneel.” “Hello,” answered Neil. “Kneel!” said his boss, shooting a glance at my friend. “What?” exclaimed Neil, shooting a glance back at his boss.

Sometimes we mean to say something but people hear something different. Sometimes that can get us into trouble.

As a young manager I occasionally asked job applicants if they were married or had kids. It seemed a good way to get to know the applicants better. After doing a joint interview with a colleague, she strongly objected to this. “That has nothing to do with their qualifications for the job,” she said, “Try putting yourself in their place.” It took me a long time to figure out she was right. The question I thought I was asking was not always the question people heard.

To do our job well, we need a comfortable, welcoming workplace. One way we measure whether EPA has such a workplace is by counting the number of EEO complaints employees file each year. “EEO” stands for Equal Employment Opportunity. Any EPA employee who feels they have been discriminated against because of their gender, race, age, religion, sexual orientation, disability, etc. can seek corrective action by filing an EEO complaint. Of course, not all complaints are bona fide and not everyone who could file a complaint does, but the change in the number of complaints is a crude measure of how well people are being treated in the workplace.

Here is our record over the past several years:

== Inserted here: records of crystals ==
[1]
Structure and simulated PXRD pattern of NpNb2Tl2Se6 (a crystal structure in Alexandria, relaxed with GGA-PBE; a wavelength of 1.5418 Å).
Kinematic intensities with the Lorentz-polarization factor, no thermal factor.

Crystal structure
Cell lengths 6.4783, 6.4783, 8.2714 Å; angles 95.61, 95.61, 117.11 degrees
Positions (direct):
Np (0.0000, 0.0000, 0.0000)
Nb (0.3633, 0.6367, 0.0000)
Nb (0.6367, 0.3633, 0.0000)
Tl (0.1735, 0.8265, 0.5000)
Tl (0.8265, 0.1735, 0.5000)
Se (0.0505, 0.4108, 0.1873)
Se (0.2861, 0.2861, 0.7809)
Se (0.4108, 0.0505, 0.1873)
Se (0.5892, 0.9495, 0.8127)
Se (0.7139, 0.7139, 0.2191)
Se (0.9495, 0.5892, 0.8127)

Main lines, in order of rising 2θ (2θ from 10° to 90°):
2θ/deg, intensity
10.89, 136
15.57, 242
19.42, 304
21.88, 157
24.80, 141
30.77, 1000
31.44, 514
31.60, 162
38.09, 232
41.57, 398
47.43, 320
59.80, 126

[2]
Structure and simulated PXRD pattern of Ba2CdO3 (a crystal structure in Alexandria, relaxed with GGA-PBE; a wavelength of 1.5418 Å).
Kinematic intensities with the Lorentz-polarization factor, no thermal factor.

Crystal structure
Cell lengths 3.7273, 5.4894, 11.2388 Å; angles 90.00, 90.00, 90.00 degrees
Positions (direct):
Ba (0.0000, 0.0000, 0.1636)
Ba (0.0000, 0.0000, 0.8364)
Ba (0.5000, 0.5000, 0.3364)
Ba (0.5000, 0.5000, 0.6636)
Cd (0.0000, 0.0000, 0.5000)
Cd (0.5000, 0.5000, 0.0000)
O (0.0000, 0.5000, 0.1448)
O (0.0000, 0.5000, 0.5000)
O (0.0000, 0.5000, 0.8552)
O (0.5000, 0.0000, 0.0000)
O (0.5000, 0.0000, 0.3552)
O (0.5000, 0.0000, 0.6448)

Main lines, in order of rising 2θ (2θ from 10° to 90°):
2θ/deg, intensity
28.85, 914
28.96, 892
32.63, 566
33.93, 1000
47.78, 730
48.87, 173
55.95, 292
57.57, 278
57.75, 268
59.77, 175
60.00, 183
78.55, 222

[3]
Structure and simulated PXRD pattern of K3I2O9 (a crystal structure in Alexandria, relaxed with GGA-PBE; a wavelength of 1.5418 Å).
Kinematic intensities with the Lorentz-polarization factor, no thermal factor.

Crystal structure
Cell lengths 7.9557, 7.9557, 7.9557 Å; angles 82.83, 82.83, 82.83 degrees
Positions (direct):
K (0.0907, 0.7500, 0.4093)
K (0.2500, 0.5907, 0.9093)
K (0.4093, 0.0907, 0.7500)
K (0.5907, 0.9093, 0.2500)
K (0.7500, 0.4093, 0.0907)
K (0.9093, 0.2500, 0.5907)
I (0.1536, 0.1536, 0.1536)
I (0.3464, 0.3464, 0.3464)
I (0.6536, 0.6536, 0.6536)
I (0.8464, 0.8464, 0.8464)
O (0.0534, 0.8984, 0.7416)
O (0.1016, 0.2584, 0.9466)
O (0.1141, 0.3859, 0.2500)
O (0.2416, 0.3984, 0.5534)
O (0.2500, 0.1141, 0.3859)
O (0.2584, 0.9466, 0.1016)
O (0.3859, 0.2500, 0.1141)
O (0.3984, 0.5534, 0.2416)
O (0.4466, 0.7584, 0.6016)
O (0.5534, 0.2416, 0.3984)
O (0.6016, 0.4466, 0.7584)
O (0.6141, 0.7500, 0.8859)
O (0.7416, 0.0534, 0.8984)
O (0.7500, 0.8859, 0.6141)
O (0.7584, 0.6016, 0.4466)
O (0.8859, 0.6141, 0.7500)
O (0.8984, 0.7416, 0.0534)
O (0.9466, 0.1016, 0.2584)

Main lines, in order of rising 2θ (2θ from 10° to 90°):
2θ/deg, intensity
15.06, 259
16.85, 1000
25.10, 317
29.40, 498
30.39, 131
34.94, 168
38.44, 210
39.04, 251
42.79, 111
49.61, 288
== The page goes on ==

chart showing Number of Equal Employment Opportunity Complaints: 2001, 85; 2002, 104; 2003, 74; 2004, 71; 2005, 69; 2006, 76; 2007, 64.

**Here the article breaks off for calculated crystals**
+++
No. 1
Structure and calculated powder XRD pattern of Na6Mg2C4SO16 (a cell relaxed with GGA-PBE; λ = 1.5418 Å (Cu Kα)).
Kinematic intensities with the Lorentz-polarization factor, no thermal factor.

Cell and atoms:
a b c (Å): 14.227 14.227 14.227
angles (deg): 90.00 90.00 90.00
Space group Fd-3m (No. 227, origin choice 2)
Asymmetric unit:
Na  0.098  0.375  0.375
Mg  0.000  0.000  0.500
C  0.031  0.031  0.719
S  0.125  0.125  0.125
O  0.007  0.007  0.355
O  0.064  0.064  0.064

Largest 10 diffraction maxima, low angle first, 10 to 80 degrees two-theta:
2θ = 20.71°, I = 58
2θ = 27.32°, I = 14
2θ = 32.71°, I = 100
2θ = 35.70°, I = 50
2θ = 44.10°, I = 31
2θ = 45.53°, I = 24
2θ = 51.38°, I = 19
2θ = 55.98°, I = 20
2θ = 56.38°, I = 13
2θ = 75.62°, I = 13

---

No. 2
Structure and calculated powder XRD pattern of Mg6NbCO8 (a cell relaxed with GGA-PBE; λ = 1.5418 Å (Cu Kα)).
Kinematic intensities with the Lorentz-polarization factor, no thermal factor.

Cell and atoms:
```
data_Mg6NbCO8
_chemical_formula_sum 'Mg6 Nb1 C1 O8'
_symmetry_space_group_name_H-M 'P 4/m m m'
_symmetry_Int_Tables_number 123
_symmetry_space_group_name_Hall '-P 4 2'
_cell_length_a 4.190
_cell_length_b 4.190
_cell_length_c 9.317
_cell_angle_alpha 90.00
_cell_angle_beta 90.00
_cell_angle_gamma 90.00
loop_
_atom_site_label
_atom_site_fract_x
_atom_site_fract_y
_atom_site_fract_z
_atom_site_occupancy
Mg1 0.000 0.000 0.000 1
Mg2 0.000 0.500 0.238 1
Mg3 0.500 0.500 0.000 1
Nb1 0.000 0.000 0.500 1
C1 0.500 0.500 0.500 1
O1 0.000 0.000 0.255 1
O2 0.000 0.500 0.000 1
O3 0.000 0.500 0.500 1
O4 0.500 0.500 0.218 1
```

Largest 10 diffraction maxima, low angle first, 10 to 80 degrees two-theta:
2θ = 21.20°, I = 31
2θ = 23.28°, I = 61
2θ = 28.68°, I = 37
2θ = 35.93°, I = 48
2θ = 38.65°, I = 66
2θ = 43.18°, I = 100
2θ = 52.67°, I = 17
2θ = 59.33°, I = 64
2θ = 62.72°, I = 28
2θ = 76.15°, I = 27

---

No. 3
Structure and calculated powder XRD pattern of Mg6NbCO8 (a cell relaxed with GGA-PBE; λ = 1.5418 Å (Cu Kα)).
Kinematic intensities with the Lorentz-polarization factor, no thermal factor.

Cell and atoms:
```
data_Mg6NbCO8
_chemical_formula_sum 'Mg6 Nb1 C1 O8'
_symmetry_space_group_name_H-M 'P 4/m m m'
_symmetry_Int_Tables_number 123
_symmetry_space_group_name_Hall '-P 4 2'
_cell_length_a 4.224
_cell_length_b 4.224
_cell_length_c 9.316
_cell_angle_alpha 90.00
_cell_angle_beta 90.00
_cell_angle_gamma 90.00
loop_
_atom_site_label
_atom_site_fract_x
_atom_site_fract_y
_atom_site_fract_z
_atom_site_occupancy
Mg1 0.000 0.000 0.000 1
Mg2 0.000 0.000 0.500 1
Mg3 0.000 0.500 0.225 1
Nb1 0.500 0.500 0.500 1
C1 0.500 0.500 0.000 1
O1 0.000 0.000 0.243 1
O2 0.000 0.500 0.000 1
O3 0.000 0.500 0.500 1
O4 0.500 0.500 0.274 1
```

Largest 10 diffraction maxima, low angle first, 10 to 80 degrees two-theta:
2θ = 23.12°, I = 59
2θ = 31.46°, I = 35
2θ = 35.71°, I = 35
2θ = 38.66°, I = 60
2θ = 42.82°, I = 100
2θ = 49.22°, I = 15
2θ = 58.37°, I = 16
2θ = 59.05°, I = 59
2θ = 62.16°, I = 28
2θ = 75.65°, I = 25

---
+++
**The article goes on**

First, you should know that EPA has one of the lowest “complaints per employee” rates in government (it appears only NASA is lower), although we think we can do better. Second, we have a low rate due to a significant drop in EEO complaints between 2002 and 2003 that we’ve been able to sustain, although it’s been pretty flat since then. When I examined this data a year ago with the Office of Civil Rights our questions were, “What caused the drop?” and “How could we make it happen again?”

We believe that drop happened because in 2002 every EPA senior manager attended mandatory EEO training. We also believe that if we repeat the mandatory EEO training, it will drop again. So the Administrator has determined that every senior manager at EPA will take two days of mandatory EEO training this year.

I went through the course two weeks ago. The many questions and lively interaction in the classroom showed me that the training was needed. I learned a lot and I wasn’t alone. The #1 lesson: you can’t have a good working environment without mutual respect. That doesn’t mean you need to kneel in front of anyone, but it does mean you may need to try on their shoes.